The consequences of the USA leaving Syria

US President Donald Trump has declared victory over Daesh in Syria. 

The American media has contacted sources at the Pentagon who have confirmed their readiness to withdraw troops from Syria. According to the Bloomberg agency, Trump has already ordered the full withdrawal of US troops. 

Previously, American politicians, including the US special representative for Syria, James Jeffrey, said that Washington had three goals in Syria: Victory over Daesh, the withdrawal of the Iranian military and political transition.

Turkish reaction

Ankara has already reacted to the news of the withdrawal. Turkey postponed the launch of operations against YPG forces in Syria to the east of the Euphrates River until the US troops have completely withdrawn from the region, President Recep Tayyip Erdogan said on Friday.

Erdogan said that his American counterpart, Donald Trump, decided to withdraw US troops from Syria after their December 14th telephone conversation. Erdogan pledged to finish the cleansing of Daesh from Syria after US withdrawal and claimed much warmer relations with the US. According to Erdogan, Turkey does not claim or desire any Syrian territory, but will not make concessions on national security issues emanating from Syria.

Mattis resigns

Here the article breaks off for calculated crystals:
No. 1
Theoretical X-ray diffraction stick pattern
Compound: Ac2TlPt
Radiation: Cu Kα (weighted mean of Kα1 and Kα2)
Structure: the PBE geometry in Alexandria

Top 10 peaks for 2θ = 5–70°, low angle first:
10.39°, I 9; 25.62°, I 58; 31.52°, I 100; 39.60°, I 11; 41.04°, I 43; 49.02°, I 28; 52.65°, I 31; 60.54°, I 11; 65.79°, I 18; 68.84°, I 21

Crystal structure
```
data_Ac2TlPt
_chemical_formula_sum 'Ac2 Tl1 Pt1'
_cell_length_a 4.399
_cell_length_b 4.399
_cell_length_c 8.513
_cell_angle_alpha 90.00
_cell_angle_beta 90.00
_cell_angle_gamma 120.00
_symmetry_space_group_name_H-M 'P 1'
_symmetry_Int_Tables_number 1
_symmetry_space_group_name_Hall 'P 1'
loop_
_atom_site_label
_atom_site_type_symbol
_atom_site_fract_x
_atom_site_fract_y
_atom_site_fract_z
Ac1 Ac 0.333 0.667 0.200
Ac2 Ac 0.667 0.333 0.800
Tl1 Tl 0.000 0.000 0.500
Pt1 Pt 0.000 0.000 0.000
```

=====

No. 2
Theoretical X-ray diffraction stick pattern
Compound: AcTm3Pt
Radiation: Cu Kα (weighted mean of Kα1 and Kα2)
Structure: the PBE geometry in Alexandria

Top 10 peaks for 2θ = 5–70°, low angle first:
16.18°, I 13; 22.97°, I 34; 28.22°, I 66; 32.70°, I 100; 40.34°, I 16; 46.93°, I 74; 55.66°, I 30; 58.37°, I 26; 63.57°, I 9; 68.54°, I 12

Crystal structure
```
data_AcTm3Pt
_chemical_formula_sum 'Ac1 Tm3 Pt1'
_cell_length_a 5.477
_cell_length_b 5.477
_cell_length_c 5.477
_cell_angle_alpha 90.00
_cell_angle_beta 90.00
_cell_angle_gamma 90.00
_symmetry_space_group_name_H-M 'P 1'
_symmetry_Int_Tables_number 1
_symmetry_space_group_name_Hall 'P 1'
loop_
_atom_site_label
_atom_site_type_symbol
_atom_site_fract_x
_atom_site_fract_y
_atom_site_fract_z
Ac1 Ac 0.000 0.000 0.000
Tm1 Tm 0.000 0.500 0.500
Tm2 Tm 0.500 0.000 0.500
Tm3 Tm 0.500 0.500 0.000
Pt1 Pt 0.500 0.500 0.500
```

=====

(1)
This entry pairs a crystal structure of NaH3C2O4 with its computed powder XRD pattern. Radiation: λ = 1.5418 Å (Cu Kα). Structure: a cell relaxed with GGA-PBE.

Main lines, most intense first (15 to 90 degrees two-theta):
2θ = 28.30°, d = 3.154 Å, rel. 100.0, hkl 0 2 2; 2θ = 27.05°, d = 3.297 Å, rel. 89.8, hkl 2 -1 0; 2θ = 30.40°, d = 2.941 Å, rel. 77.3, hkl 2 3 1; 2θ = 29.64°, d = 3.014 Å, rel. 52.2, hkl 0 0 3; 2θ = 23.03°, d = 3.861 Å, rel. 51.1, hkl 2 1 2; 2θ = 26.37°, d = 3.380 Å, rel. 40.5, hkl 2 1 -1; 2θ = 20.06°, d = 4.425 Å, rel. 30.7, hkl 1 2 1; 2θ = 33.30°, d = 2.690 Å, rel. 30.5, hkl 3 0 0; 2θ = 30.03°, d = 2.976 Å, rel. 29.9, hkl 1 -2 2; 2θ = 38.93°, d = 2.313 Å, rel. 27.5, hkl 2 4 1

Cell and atoms:
abc: 9.161 9.432 9.725
angles: 83.24 68.42 70.18
Space group P-1 (No. 2)
Inequivalent atoms, fractional coordinates:
Na: 0.172 0.341 0.197 (multiplicity 2)
Na: 0.192 0.542 0.476 (multiplicity 2)
Na: 0.197 0.934 0.350 (multiplicity 2)
H: 0.000 0.500 0.000 (multiplicity 1)
H: 0.044 0.800 0.950 (multiplicity 2)
H: 0.107 0.015 0.712 (multiplicity 2)
H: 0.207 0.222 0.616 (multiplicity 2)
H: 0.341 0.014 0.902 (multiplicity 2)
H: 0.343 0.374 0.766 (multiplicity 2)
H: 0.349 0.597 0.004 (multiplicity 2)

At the same time the Secretary of Defense, James Mattis, known as “mad dog”, resigned his post as head of the Pentagon. Prior to his appointment, he operated with US Central Command which is responsible for the Middle East and Central Asia. In general, US officials consider the decision controversial and as an unexpected decision from Donald Trump. The US president stressed that despite the disagreements, Mattis will quit the service “with distinction” at the end of February.

A Reuters source explained that Mattis personally appealed to Trump to reverse his stance and tendered his resignation on December 20th. In his letter, Mattis explained that the president needs a defense secretary whose views would be closely aligned. Mattis is a representative of the circle of “generals” formed around Trump. They are not representatives of the liberal “swamp” or populists like Steve Bannon, nor are they neo-conservatives. Mattis, being very consistent on US foreign policy, managed to enter this close-knit circle, but clearly it is not easy for him to work with the unpredictable President. Trump also demands complete loyalty on his policy decisions. Democrat Mark Warner, an opponent of Trump, called Mattis’ resignation frightening, and that he, in Warners’ opinion, an “island of stability” in the current administration.

In essence, the policy and personnel changes taking place in recent months are the completion of a serious shift in the White House. Syria and Afghanistan served as trigger for Mattis, since Trump largely gave the circle of generals free rein to operate there without much interference. In both regions, the “generals” increased their military presence yet failed in their desired objectives. Announcing the completion of operations in Syria, Trump showed willpower and his pre-election image of a populist. All other participants (“generals” like Mattis, neocons, and even pro-Israel populists) have opposed the military withdrawal. Trump was able to recognize that in Syria, Americans have nothing more to do there.

US, stuck in its swamp

### Data records that have nothing to do with the article
____________
# 1
MgFeO2: computed XRD peak list (Cu Kα (λ = 1.5418 Å)), based on a cell relaxed with PBE+U.
Lines closer than 0.1° are merged.

Peak list (10 most intense, 10 to 90 degrees two-theta, by intensity)
- 2θ 14.65, rel. 100
- 2θ 49.27, rel. 77
- 2θ 29.54, rel. 72
- 2θ 34.39, rel. 69
- 2θ 32.03, rel. 69
- 2θ 34.49, rel. 68
- 2θ 23.46, rel. 66
- 2θ 34.70, rel. 53
- 2θ 21.45, rel. 52
- 2θ 50.06, rel. 48

Crystal structure
Lattice parameters (Å, degrees): 2.9760 8.4293 8.5198 91.08 99.85 100.16
Sites, in units of the cell vectors:
Mg (0.0000, 0.0000, 0.0000)
Mg (0.1535, 0.8534, 0.4338)
Mg (0.3735, 0.6435, 0.0958)
Mg (0.7791, 0.2106, 0.3379)
Fe (0.1697, 0.3146, 0.0150)
Fe (0.3979, 0.1208, 0.6631)
Fe (0.7544, 0.7295, 0.7721)
Fe (0.9835, 0.5392, 0.4195)
O (0.1606, 0.6926, 0.6178)
O (0.3765, 0.3605, 0.3841)
O (0.3816, 0.8208, 0.9406)
O (0.5297, 0.7190, 0.3200)
O (0.6239, 0.1348, 0.1135)
O (0.7714, 0.0327, 0.4932)
O (0.7741, 0.4948, 0.0443)
O (0.9916, 0.1590, 0.8161)

***

# 2
MgFe4Si2Sn7O16: computed XRD peak list (Cu Kα (λ = 1.5418 Å)), based on a cell relaxed with PBE+U.
Lines closer than 0.1° are merged.

Peak list (10 most intense, 10 to 90 degrees two-theta, by intensity)
- 2θ 30.92, rel. 100
- 2θ 25.12, rel. 77
- 2θ 30.73, rel. 64
- 2θ 30.99, rel. 63
- 2θ 34.16, rel. 57
- 2θ 34.40, rel. 47
- 2θ 52.64, rel. 46
- 2θ 45.71, rel. 35
- 2θ 14.72, rel. 35
- 2θ 52.80, rel. 31

Crystal structure
Lattice parameters (Å, degrees): 6.9368 6.9534 10.6348 89.27 89.91 60.12
Sites, in units of the cell vectors:
Mg (0.0000, 0.0000, 0.0000)
Fe (0.2514, 0.5014, 0.5295)
Fe (0.2541, 0.0019, 0.5348)
Fe (0.7477, 0.0022, 0.5348)
Fe (0.7599, 0.4831, 0.0342)
Si (0.0924, 0.8164, 0.7738)
Si (0.4149, 0.1763, 0.2979)
Sn (0.0816, 0.3374, 0.8290)
Sn (0.4233, 0.6715, 0.2308)
Sn (0.5838, 0.3386, 0.8290)
Sn (0.5947, 0.8123, 0.8401)
Sn (0.7503, 0.5036, 0.5348)
Sn (0.9061, 0.1947, 0.2492)
Sn (0.9101, 0.6703, 0.2306)
O (0.0682, 0.3395, 0.6298)
O (0.0766, 0.8519, 0.1705)
O (0.0820, 0.8346, 0.6212)
O (0.2125, 0.9365, 0.8481)
O (0.2229, 0.5584, 0.8196)
O (0.2832, 0.0489, 0.2499)
O (0.2830, 0.4390, 0.2532)
O (0.4183, 0.1713, 0.4547)
O (0.4261, 0.1511, 0.8443)
O (0.4319, 0.6673, 0.4357)
O (0.5959, 0.3413, 0.6299)
O (0.5966, 0.8094, 0.6378)
O (0.6730, 0.0495, 0.2486)
O (0.8531, 0.9333, 0.8492)
O (0.9049, 0.6656, 0.4353)
O (0.9149, 0.1759, 0.4450)

***

# 3
SrEuCrWO6: computed XRD peak list (Cu Kα (λ = 1.5418 Å)), based on a cell relaxed with PBE+U.
Lines closer than 0.1° are merged.

Peak list (10 most intense, 10 to 90 degrees two-theta, by intensity)
- 2θ 31.70, rel. 100
- 2θ 56.46, rel. 39
- 2θ 45.44, rel. 30
- 2θ 19.25, rel. 22
- 2θ 66.21, rel. 18
- 2θ 75.27, rel. 17
- 2θ 37.35, rel. 13
- 2θ 83.97, rel. 6
- 2θ 49.78, rel. 6
- 2θ 60.23, rel. 5

Crystal structure
Lattice parameters (Å, degrees): 5.6458 5.6458 5.6458 60.00 60.00 60.00
Sites, in units of the cell vectors:
Sr (0.0000, 0.0000, 0.0000)
Eu (0.5000, 0.5000, 0.5000)
Cr (0.2500, 0.2500, 0.2500)
W (0.7500, 0.7500, 0.7500)
____________

According to Trump, the Syrian withdrawal was not unexpected, and the US was only there temporarily. He added that it’s time to return home and the US does not want to be the policeman of the Middle East.

However, these are statements, and the question of the actual withdrawal from Syria remains open – no clear dates or actions have been specified. Firstly, pro-American companies and provocateurs like the “White Helmets” may remain in the territories. Secondly, hawks will hardly abandon the idea of controlling some degree of leverage in the Middle East. Even if the troops withdraw, with artificial provocation (for example, the oft-referenced “chemical weapons”) Washington could send them right back into Syria.

Meanwhile, Trump hasn’t rejected any of his other plans, including the construction of the Mexican border wall, for which funds have already been allocated with the permission of Congress.

In fact, Trump is now a populist “against all”, and this will become a new challenge for the US president. Besides the pre-election promises, there are other factors at play, including his ability to switch the containment policies of North Korea, Russia, and China. The Americans have already spoiled any goals they aimed for in Syria, but the US, stuck in its swamp, has unwillingly acknowledged the success of the Astana format, and the Turkey-Russia-Iran axis.